Source:
=====
PmMnMo2O8: computed powder X-ray diffraction pattern (a wavelength of 1.5418 Å), based on a DFT-relaxed cell (GGA+U, Alexandria).

Crystal structure
Cell lengths 5.238, 5.238, 11.269 Å; angles 90.00, 90.00, 90.00 degrees
Space group I-4 (No. 82)
One atom of each set of equivalent atoms:
Pm  0.000  0.000  0.000
Mn  0.000  0.500  0.250
Mo  0.000  0.000  0.500
Mo  0.000  0.500  0.750
O  0.164  0.242  0.414
O  0.177  0.758  0.833

The 12 most intense peaks (10 to 90 degrees two-theta), by intensity:
d (Å)	2θ (°)	I/Imax
3.095	28.85	100.0
1.918	47.40	31.0
1.589	58.04	26.6
2.619	34.24	17.3
1.675	54.80	15.8
1.852	49.20	14.8
2.817	31.76	13.0
1.242	76.72	11.7
1.547	59.76	10.3
1.241	76.84	6.8
4.750	18.68	6.3
1.206	79.47	5.3


The following is a theoretical powder XRD pattern of RbZrPdSeS2. It was derived from DFT lattice parameters and positions (GGA-PBE), using Cu Kα, 1.54184 Å.

Main lines, in order of rising 2θ (5° ≤ 2θ ≤ 70°):
- 2θ = 11.5°, rel. 100.0
- 2θ = 31.4°, rel. 25.3
- 2θ = 32.6°, rel. 42.4
- 2θ = 35.0°, rel. 26.3
- 2θ = 36.5°, rel. 25.8
- 2θ = 44.1°, rel. 26.7

Structure:
```
data_RbZrPdSeS2
_cell_length_a 8.645
_cell_length_b 3.786
_cell_length_c 10.004
_cell_angle_alpha 90.00
_cell_angle_beta 112.60
_cell_angle_gamma 90.00
_symmetry_space_group_name_H-M 'P 1 21/m 1'
_symmetry_Int_Tables_number 11
_symmetry_space_group_name_Hall '-P 2yb'
loop_
_atom_site_label
_atom_site_fract_x
_atom_site_fract_y
_atom_site_fract_z
_atom_site_occupancy
Rb1 0.228 0.250 0.246 1
Zr1 0.315 0.750 0.844 1
Pd1 0.100 0.250 0.602 1
Se1 0.261 0.750 0.558 1
S1 0.118 0.250 0.858 1
S2 0.461 0.750 0.129 1
```



The following is a theoretical powder XRD pattern of RbTbPdS3. It was derived from DFT lattice parameters and positions (GGA-PBE), using Cu Kα, 1.54184 Å.

Main lines, in order of rising 2θ (5° ≤ 2θ ≤ 70°):
- 2θ = 11.4°, rel. 100.0
- 2θ = 22.8°, rel. 33.2
- 2θ = 28.9°, rel. 42.6
- 2θ = 29.2°, rel. 26.5
- 2θ = 33.2°, rel. 59.1
- 2θ = 40.7°, rel. 40.9

Structure:
```
data_RbTbPdS3
_cell_length_a 4.093
_cell_length_b 15.580
_cell_length_c 9.921
_cell_angle_alpha 90.00
_cell_angle_beta 90.00
_cell_angle_gamma 90.00
_symmetry_space_group_name_H-M 'C m c m'
_symmetry_Int_Tables_number 63
_symmetry_space_group_name_Hall '-C 2c 2'
loop_
_atom_site_label
_atom_site_fract_x
_atom_site_fract_y
_atom_site_fract_z
_atom_site_occupancy
Rb1 0.000 0.247 0.250 1
Tb1 0.000 0.000 0.000 1
Pd1 0.000 0.495 0.750 1
S1 0.000 0.083 0.750 1
S2 0.000 0.390 0.576 1
```



The following is a theoretical powder XRD pattern of Rb2Te2PdS. It was derived from DFT lattice parameters and positions (GGA-PBE), using Cu Kα, 1.54184 Å.

Main lines, in order of rising 2θ (5° ≤ 2θ ≤ 70°):
- 2θ = 13.9°, rel. 42.6
- 2θ = 14.9°, rel. 100.0
- 2θ = 26.7°, rel. 92.0
- 2θ = 29.7°, rel. 54.7
- 2θ = 32.7°, rel. 49.2
- 2θ = 36.6°, rel. 58.6

Structure:
```
data_Rb2Te2PdS
_cell_length_a 7.120
_cell_length_b 7.396
_cell_length_c 9.490
_cell_angle_alpha 107.78
_cell_angle_beta 100.16
_cell_angle_gamma 110.26
_symmetry_space_group_name_H-M 'P -1'
_symmetry_Int_Tables_number 2
_symmetry_space_group_name_Hall '-P 1'
loop_
_atom_site_label
_atom_site_fract_x
_atom_site_fract_y
_atom_site_fract_z
_atom_site_occupancy
Rb1 0.026 0.273 0.132 1
Rb2 0.322 0.297 0.676 1
Te1 0.212 0.701 0.538 1
Te2 0.224 0.866 0.295 1
Pd1 0.499 0.955 0.838 1
S1 0.438 0.222 0.009 1
```



The following is a theoretical powder XRD pattern of RbZrPdS3. It was derived from DFT lattice parameters and positions (GGA-PBE), using Cu Kα, 1.54184 Å.

Main lines, in order of rising 2θ (5° ≤ 2θ ≤ 70°):
- 2θ = 11.7°, rel. 100.0
- 2θ = 23.6°, rel. 35.2
- 2θ = 31.6°, rel. 26.2
- 2θ = 32.8°, rel. 42.0
- 2θ = 36.3°, rel. 24.9
- 2θ = 36.8°, rel. 26.3

Structure:
```
data_RbZrPdS3
_cell_length_a 8.536
_cell_length_b 3.786
_cell_length_c 9.802
_cell_angle_alpha 90.00
_cell_angle_beta 112.29
_cell_angle_gamma 90.00
_symmetry_space_group_name_H-M 'P 1 21/m 1'
_symmetry_Int_Tables_number 11
_symmetry_space_group_name_Hall '-P 2yb'
loop_
=====

Activity:
It remains to duplicate the lines above from the one with "Rb2Te2PdS. It" to the one with "RbZrPdS3. It" character by character.

Here it is:
The following is a theoretical powder XRD pattern of Rb2Te2PdS. It was derived from DFT lattice parameters and positions (GGA-PBE), using Cu Kα, 1.54184 Å.

Main lines, in order of rising 2θ (5° ≤ 2θ ≤ 70°):
- 2θ = 13.9°, rel. 42.6
- 2θ = 14.9°, rel. 100.0
- 2θ = 26.7°, rel. 92.0
- 2θ = 29.7°, rel. 54.7
- 2θ = 32.7°, rel. 49.2
- 2θ = 36.6°, rel. 58.6

Structure:
```
data_Rb2Te2PdS
_cell_length_a 7.120
_cell_length_b 7.396
_cell_length_c 9.490
_cell_angle_alpha 107.78
_cell_angle_beta 100.16
_cell_angle_gamma 110.26
_symmetry_space_group_name_H-M 'P -1'
_symmetry_Int_Tables_number 2
_symmetry_space_group_name_Hall '-P 1'
loop_
_atom_site_label
_atom_site_fract_x
_atom_site_fract_y
_atom_site_fract_z
_atom_site_occupancy
Rb1 0.026 0.273 0.132 1
Rb2 0.322 0.297 0.676 1
Te1 0.212 0.701 0.538 1
Te2 0.224 0.866 0.295 1
Pd1 0.499 0.955 0.838 1
S1 0.438 0.222 0.009 1
```



The following is a theoretical powder XRD pattern of RbZrPdS3. It was derived from DFT lattice parameters and positions (GGA-PBE), using Cu Kα, 1.54184 Å.